Activity:
The reader should filter the data further below: keep the lines with the word "functional".
Material:
~~~
## NaTiFeO4 (meta-GGA r2SCAN)

Data for crystalline NaTiFeO4 at its relaxed geometry.

Values from the calculation:
- formation enthalpy at 0 K (eV per atom) = -2.45
- energy (eV per atom) = -10.28
- crystal system = orthorhombic

CIF file:
```
data_NaTiFeO4
_chemical_formula_sum 'Na4 Ti4 Fe4 O16'
_cell_length_a 9.135
_cell_length_b 2.972
_cell_length_c 11.328
_cell_angle_alpha 90.00
_cell_angle_beta 90.00
_cell_angle_gamma 90.00
_symmetry_space_group_name_H-M 'P n m a'
_symmetry_Int_Tables_number 62
_symmetry_space_group_name_Hall '-P 2ac 2n'
loop_
_atom_site_label
_atom_site_type_symbol
_atom_site_fract_x
_atom_site_fract_y
_atom_site_fract_z
_atom_site_occupancy
Na1 Na 0.111 0.250 0.110 1
Ti1 Ti 0.225 0.750 0.840 1
Fe1 Fe 0.017 0.250 0.618 1
O1 O 0.115 0.250 0.460 1
O2 O 0.117 0.250 0.906 1
O3 O 0.125 0.750 0.690 1
O4 O 0.150 0.750 0.270 1
```

~~~~~

# 1
Na15Nb2Zn10P9S9O72 after structural relaxation. Source: the Materials Project, functional GGA-PBE.

Unit cell a=8.9791 b=8.9729 c=22.1487 alpha=90.42 beta=90.11 gamma=120.12
Fractional positions:
O  0.1545  0.4506  0.9722
O  0.1662  0.6851  0.7586
Zn  0.0035  0.0048  0.8434
Na  0.3335  0.0414  0.4102
O  0.6881  0.1303  0.0275
Zn  0.9999  0.9968  0.1620
Na  0.3311  0.6814  0.6623
S  0.6710  0.6305  0.5814
Na  0.6687  0.6988  0.0892
O  0.8621  0.5471  0.0248
O  0.0331  0.2252  0.1954
Na  0.9923  0.0255  0.9976
S  0.9991  0.2985  0.2500
Zn  0.6569  0.3303  0.1876
O  0.3153  0.8661  0.9798
P  0.0382  0.3681  0.9167
S  0.6282  0.6701  0.9197
O  0.1413  0.4907  0.5802
Na  0.3265  0.2915  0.9138
Zn  0.3348  0.6630  0.5113
O  0.6475  0.1245  0.1371
O  0.5527  0.6881  0.9768
Zn  0.0015  0.0100  0.3450
O  0.1383  0.6525  0.0808
O  0.9752  0.7799  0.8121
O  0.1971  0.1764  0.0869
P  0.9933  0.7026  0.7527
O  0.6350  0.5069  0.9181
O  0.6820  0.5517  0.5230
O  0.8551  0.3166  0.5304
O  0.1971  0.0235  0.5880
O  0.5017  0.3659  0.4165
O  0.6348  0.1374  0.4187
O  0.4834  0.3301  0.7437
Nb  0.3444  0.6711  0.3118
Zn  0.9969  0.9924  0.6629
O  0.0299  0.8124  0.6968
Zn  0.6625  0.3363  0.6878
Na  0.9896  0.3472  0.7468
Na  0.7037  0.6687  0.4131
O  0.6785  0.1578  0.7436
O  0.8251  0.0322  0.8008
O  0.4821  0.3582  0.1339
O  0.8699  0.5227  0.1352
O  0.7762  0.8067  0.1928
P  0.3016  0.2984  0.7509
S  0.9593  0.6262  0.0823
Zn  0.3226  0.6631  0.0125
O  0.1940  0.9687  0.1920
O  0.5191  0.6799  0.2594
O  0.1316  0.6509  0.3626
Na  0.9667  0.6726  0.9126
Na  0.6697  0.9693  0.5866
O  0.8662  0.5080  0.4180
Na  0.2992  0.3328  0.5849
O  0.5098  0.8590  0.0819
O  0.8082  0.9763  0.4111
O  0.3130  0.8302  0.2597
O  0.9780  0.1999  0.3050
O  0.4483  0.3114  0.0244
O  0.5132  0.6539  0.8671
Zn  0.6659  0.3289  0.4810
O  0.9761  0.8027  0.0855
Na  0.2993  0.9681  0.0861
P  0.3285  0.3678  0.4194
O  0.3580  0.4950  0.0788
O  0.4842  0.1250  0.6332
O  0.8677  0.3722  0.9173
O  0.0167  0.1886  0.9087
O  0.3461  0.8561  0.8664
O  0.3092  0.4439  0.4793
O  0.8851  0.3490  0.6407
O  0.8025  0.8197  0.9136
O  0.5054  0.8553  0.3656
O  0.7672  0.9632  0.6876
S  0.6704  0.0370  0.0845
O  0.4849  0.1517  0.2466
Na  0.3156  0.6508  0.1630
O  0.3164  0.4851  0.7592
O  0.4954  0.1470  0.9185
S  0.9641  0.3362  0.5837
O  0.6522  0.5200  0.6329
O  0.9815  0.1770  0.5841
O  0.5536  0.8605  0.4782
P  0.6343  0.9655  0.4204
Zn  0.6762  0.3154  0.9800
O  0.8236  0.8073  0.5854
S  0.3703  0.3341  0.0811
O  0.5097  0.6463  0.5817
P  0.7053  0.0019  0.7477
O  0.1692  0.9781  0.9142
S  0.0399  0.6641  0.4173
O  0.0215  0.8201  0.4130
O  0.3422  0.4929  0.3660
Nb  0.3321  0.6747  0.8122
O  0.4426  0.1340  0.5240
O  0.3524  0.8612  0.5779
O  0.8101  0.7897  0.3086
O  0.1400  0.4881  0.8602
Na  0.6533  0.3122  0.8283
S  0.3680  0.0356  0.5814
O  0.2133  0.0214  0.3080
O  0.6782  0.5170  0.2464
O  0.8502  0.5130  0.7470
O  0.1819  0.2264  0.6944
P  0.2991  0.0028  0.2510
O  0.5203  0.8365  0.7599
P  0.3339  0.9660  0.9215
Na  0.9998  0.0086  0.4973
O  0.1623  0.4778  0.2571
O  0.8536  0.3286  0.2438
~~~
Here it is:
Na15Nb2Zn10P9S9O72 after structural relaxation. Source: the Materials Project, functional GGA-PBE.